Cultivation Is Hard

In Blackwood Village, all was quiet on this starry night.

Lu Qingfeng got into a sitting position. The moonlight dimly illuminated his hands. The Yellow Dragon Pills and the Fasting Pills hadn't come back into the real world with him.

Once again, he called upon the Attribute Panel.

Name: Lu Qingfeng [Real Body]

Race: Human

Faction: None

• Attached: calculated crystals:
<<<
# 1
A plane-wave DFT calculation with GGA-PBE was carried out for Ho2Pa3S8 after structural relaxation.

Unit cell a=8.025 b=8.025 c=6.486 alpha=105.80 beta=105.80 gamma=58.50
Atoms (fractional coordinates):
Ho: 0.241 0.241 0.165
Ho: 0.759 0.759 0.835
Pa: 0.254 0.746 0.500
Pa: 0.500 0.500 0.000
Pa: 0.746 0.254 0.500
S: 0.108 0.108 0.397
S: 0.134 0.609 0.081
S: 0.373 0.373 0.574
S: 0.391 0.866 0.919
S: 0.609 0.134 0.081
S: 0.627 0.627 0.426
S: 0.866 0.391 0.919
S: 0.892 0.892 0.603

Values from the calculation:
The total magnetic moment comes out at 4.46 μB per formula unit. Its space-group type is C2/m, No. 12. The volume comes out at 338 Å³ per cell. The calculation puts the total energy at -0.26107 Ha/atom.



# 2
A plane-wave DFT calculation with GGA-PBE was carried out for Ho3Pa5S12 after structural relaxation.

Unit cell a=13.897 b=13.897 c=13.897 alpha=109.47 beta=109.47 gamma=109.47
Atoms (fractional coordinates):
Ho: 0.125 0.250 0.375
Ho: 0.125 0.375 0.750
Ho: 0.250 0.375 0.125
Ho: 0.250 0.875 0.625
Ho: 0.375 0.125 0.250
Ho: 0.375 0.750 0.125
Ho: 0.625 0.250 0.875
Ho: 0.625 0.875 0.750
Ho: 0.750 0.125 0.375
Ho: 0.750 0.625 0.875
Ho: 0.875 0.625 0.250
Ho: 0.875 0.750 0.625
Pa: 0.000 0.000 0.000
Pa: 0.000 0.000 0.500
Pa: 0.000 0.500 0.000
Pa: 0.000 0.500 0.500
Pa: 0.125 0.750 0.875
Pa: 0.125 0.875 0.250
Pa: 0.250 0.125 0.875
Pa: 0.250 0.625 0.375
Pa: 0.375 0.250 0.625
Pa: 0.375 0.625 0.750
Pa: 0.500 0.000 0.000
Pa: 0.500 0.000 0.500
Pa: 0.500 0.500 0.000
Pa: 0.500 0.500 0.500
Pa: 0.625 0.375 0.250
Pa: 0.625 0.750 0.375
Pa: 0.750 0.375 0.625
Pa: 0.750 0.875 0.125
Pa: 0.875 0.125 0.750
Pa: 0.875 0.250 0.125
S: 0.054 0.227 0.131
S: 0.054 0.327 0.924
S: 0.076 0.631 0.404
S: 0.076 0.946 0.673
S: 0.096 0.727 0.673
S: 0.096 0.869 0.424
S: 0.131 0.054 0.227
S: 0.131 0.576 0.904
S: 0.173 0.227 0.596
S: 0.173 0.446 0.576
S: 0.227 0.131 0.054
S: 0.227 0.596 0.173
S: 0.273 0.327 0.904
S: 0.273 0.446 0.369
S: 0.327 0.904 0.273
S: 0.327 0.924 0.054
S: 0.369 0.273 0.446
S: 0.369 0.596 0.924
S: 0.404 0.076 0.631
S: 0.404 0.827 0.773
S: 0.424 0.096 0.869
S: 0.424 0.827 0.554
S: 0.446 0.369 0.273
S: 0.446 0.576 0.173
S: 0.554 0.424 0.827
S: 0.554 0.631 0.727
S: 0.576 0.173 0.446
S: 0.576 0.904 0.131
S: 0.596 0.173 0.227
S: 0.596 0.924 0.369
S: 0.631 0.404 0.076
S: 0.631 0.727 0.554
S: 0.673 0.076 0.946
S: 0.673 0.096 0.727
S: 0.727 0.554 0.631
S: 0.727 0.673 0.096
S: 0.773 0.404 0.827
S: 0.773 0.869 0.946
S: 0.827 0.554 0.424
S: 0.827 0.773 0.404
S: 0.869 0.424 0.096
S: 0.869 0.946 0.773
S: 0.904 0.131 0.576
S: 0.904 0.273 0.327
S: 0.924 0.054 0.327
S: 0.924 0.369 0.596
S: 0.946 0.673 0.076
S: 0.946 0.773 0.869

Values from the calculation:
The total magnetic moment comes out at 8.64 μB per formula unit. Its space-group type is Ia-3d, No. 230. The volume comes out at 2066 Å³ per cell. The calculation puts the total energy at -0.25345 Ha/atom.



# 3
A plane-wave DFT calculation with GGA-PBE was carried out for HoPa4S5 after structural relaxation.
>>>
• The calculated crystals stop here:

Title: None

Cultivation Stage: None

Level: 0 (0/1)

Destined Life Span: 16/68

Innate Talent Level: 1

Merit: Unknown

Karma: Unknown

Technique: Yellow Court Classic (Unblooded) [Property: Ability Upgrade (Level 1); Commanding Power (Level 1); Karma Nullification (Level 1)]; Scorching Sun Classic (Novice) [Updating]

Magic: None

Abhijna: None

Equipment: None

Pill Refining: "Fundamentals of Pill Refining" (Unblooded) [Updating]

Aside from the fact that the Scorching Sun Classic had changed from Unblooded to Novice, nothing else was different. His Cultivation Stage and Level were still empty. Also, the Chi Control column did not appear either.

"From the looks of it, mastery over techniques or skills like Pill Refining in the game can be brought directly into reality. However, his in-game Level and Cultivation Stage will not be synchronized with those of reality."

Lu Qingfeng had finally figured it out.

This was almost the same as the settings of Reincarnation and Resurrection in "Primitive." Memories could be carried out of the game, but things at a physical level, such as Chi Control and Cultivation Stage, couldn't be synchronized with reality.

"Well, I have no complaints."

Lu Qingfeng lowered his head on the spur of the moment and buried his head in his hands amid the darkness.

No one would ever know how massive the disparities were and how big of an impact it had on Lu Qingfeng to have traversed from the 21st century, an era of the rising sun when life seemed to be getting better and better, to live in a society of slavery in a completely oppressive environment such as Blackwood Village.

Lu Qingfeng decided to become very optimistic.

During the earliest phases after he had traversed these worlds, he had still had the wisdom of his previous life. He had learned to talk in three months and run in six months. However, when he was four years old, his mother had died due to difficult labor, and after that, he suffered the cold and darkness of Blackwood Village.

As he gradually grew up and had come to understand the perils of Blackwood Village and heard all the rumors about the so-called Sages of the Truth Sect, Lu Qingfeng had become very cautious.

From the lively and cheerful person he once had been, he became quiet and reticent.

He wasn't bold enough to violate the rules because he was not alone.

If he did or said something that overstepped the boundaries of village life, he wasn't sure that this news wouldn't be conveyed from Blackwood Village to Ganoderma Mountain the very next day. And then his deeds could cause trouble for his father, brother, or sister, causing them to be executed along with him.

Now he said to himself, "From today onward, everything will be different!"

Lu Qingfeng raised his head. In the darkness, his eyes seemed to glow with exceptional brightness.


After he had confirmed what the parallels were between the game and reality, Lu Qingfeng entered the game once again.

"I could barely comprehend the sense of Chi after four Yellow Dragon Pills, and my cultivation cost me four experience points. I wonder how many experience points a Yellow Dragon Pill will provide me with now that I've comprehended the sense of Chi?"

"I have one Yellow Dragon Pill left. That, with the two experience points that I have at present, perhaps will push me to Level 2."

Attached: data records:
┌──
The following is a DFT calculation (PBE) of a relaxed structure of AsOs2Se.

Properties
ΔE to the lowest computed polymorph = 7.391 kcal/mol of atoms
volume = 332.6 Å³ per cell
spin magnetization = 0.0 μB per formula unit
theoretical density = 10.7 g/cm3

a b c (Å): 5.504 5.504 10.980
angles (deg): 90.00 90.00 90.00
Space group I-42d (No. 122)
Inequivalent atoms, fractional coordinates:
As (0.000, 0.000, 0.000) [4 per cell]
Os (0.249, 0.250, 0.625) [8 per cell]
Se (0.000, 0.000, 0.500) [4 per cell]

~~~~~

Entry 1:
Below is a relaxed LiY2Lu crystal, with properties calculated at the GGA-PBE level.

Calculated values
- Density: 5.3 g/cm3
- Calculated total energy: -4.6370 eV/atom

a b c (Å): 5.4318 5.4318 5.4318
angles (deg): 60.00 60.00 60.00
Atoms (fractional coordinates):
Y (0.7500, 0.7500, 0.7500)
Y (0.0000, 0.0000, 0.0000)
Lu (0.2500, 0.2500, 0.2500)
Li (0.5000, 0.5000, 0.5000)



Entry 2:
Below is a relaxed Li2LuZn crystal, with properties calculated at the GGA-PBE level.

Calculated values
- Density: 5.6 g/cm3
- Calculated total energy: -2.4237 eV/atom

a b c (Å): 4.7302 4.7302 4.7302
angles (deg): 60.00 60.00 60.00
Atoms (fractional coordinates):
Li (0.7500, 0.7500, 0.7500)
Lu (0.2500, 0.2500, 0.2500)
Zn (0.5000, 0.5000, 0.5000)
Li (0.0000, 0.0000, 0.0000)



Entry 3:
Below is a relaxed LiLu2Zn crystal, with properties calculated at the GGA-PBE level.

Calculated values
- Density: 7.9 g/cm3
- Calculated total energy: -2.9305 eV/atom

a b c (Å): 5.0150 5.0150 5.0150
angles (deg): 60.00 60.00 60.00
Atoms (fractional coordinates):
Zn (0.5000, 0.5000, 0.5000)
Lu (0.0000, 0.0000, 0.0000)
Li (0.2500, 0.2500, 0.2500)
Lu (0.7500, 0.7500, 0.7500)



Entry 4:
Below is a relaxed LiLuZn crystal, with properties calculated at the GGA-PBE level.

Calculated values
- Density: 5.7 g/cm3
- Calculated total energy: -2.1076 eV/atom

a b c (Å): 4.6653 4.6653 4.6653
angles (deg): 60.00 60.00 60.00
Atoms (fractional coordinates):
Zn (0.7500, 0.7500, 0.7500)
Lu (0.0000, 0.0000, 0.0000)
Li (0.2500, 0.2500, 0.2500)



Entry 5:
Below is a relaxed LiLu2Zr crystal, with properties calculated at the GGA-PBE level.

Calculated values
- Density: 7.6 g/cm3
- Calculated total energy: -4.5735 eV/atom

a b c (Å): 5.1622 5.1622 5.1622
angles (deg): 60.00 60.00 60.00
Atoms (fractional coordinates):
Lu (0.7500, 0.7500, 0.7500)
Zr (0.2500, 0.2500, 0.2500)
Li (0.5000, 0.5000, 0.5000)
Lu (0.0000, 0.0000, 0.0000)



Entry 6:
Below is a relaxed LiMgMo2 crystal, with properties calculated at the GGA-PBE level.

Calculated values
- Density: 5.9 g/cm3
- Calculated total energy: -5.8687 eV/atom

a b c (Å): 4.4633 4.4633 4.4633
angles (deg): 60.00 60.00 60.00
Atoms (fractional coordinates):
Mg (0.2500, 0.2500, 0.2500)
Mo (0.7500, 0.7500, 0.7500)
Mo (0.0000, 0.0000, 0.0000)
Li (0.5000, 0.5000, 0.5000)



Entry 7:
Below is a relaxed LiNdMg crystal, with properties calculated at the GGA-PBE level.

Calculated values
- Density: 3.4 g/cm3
- Calculated total energy: -2.4455 eV/atom
└──

Lu Qingfeng went into the bluestone tablet, took out the last Yellow Dragon Pill, and consumed it right away.

The Scorching Sun Classic was initialized. The faint Chi in his body revolved along with it, continuously absorbing the power of the pill and gradually strengthening.

It was after the power of the Yellow Dragon Pill subsided that Lu Qingfeng stopped cultivating.

Level: 1 (5/5)

"Three experience points. As expected."

"When I'm Unblooded in Skill Level, comprehending the sense of Chi is the hardest. Four Yellow Dragon Pills only gave me five experience points. But after my Skill Level increased from Unblooded to Novice, just one Yellow Dragon Pill was able to give me three experience points."

Lu Qingfeng felt relieved.

If that were the case, even if his talent were on the weaker end, as long as he had enough Yellow Dragon Pills, he would always be able to push up the level of his cultivation.

"It's kind of late. I'm going to go to sleep now. Tomorrow, I'll officially begin my cultivation in the Scorching Sun Classic."

Exploring Emery Town, cultivating the Scorching Sun Classic…

Realizing that dawn would arrive soon, Lu Qingfeng exited the game, tried his best to relax his mind, and went to sleep.

The rest of the night passed.


At dawn, the morning sun rose again.

Sunlight slipped through the gaps between the Blackwood boards that made up the Blackwood shack.

For some unknown reason, although he had a hard time last night and it had already been the wee hours when he returned to sleep, Lu Qingfeng didn't feel tired when he woke up in the morning.

On the contrary, he felt full of energy.

"Does this game even have the effect of replacing sleep?" Lu Qingfeng couldn't help wondering. He knew that when he went offline last night, he had clearly felt exhausted.

He shook his head and cast the thoughts aside.

"Qingyu, time to wake up."

Rolling himself out of bed and calling out to Lu Qingyu, Lu Qingfeng brought up the Attribute Panel and started his morning ablutions.

Name: Lu Qingfeng [Real Body]

Misplaced calculated crystals:
........
Density functional theory data (SCAN) for BeAl3Sn at its PBEsol-relaxed geometry.

Properties
As for the symmetry: Pm-3m, No. 221. The mass density is 2.52 g/cm³. The value obtained for the formation enthalpy at 0 K is 1395 meV per atom.

Cell lengths 5.158, 5.158, 5.158 Å; angles 90.00, 90.00, 90.00 degrees
Element x y z (fractional)
Be1 0.500 0.500 0.500
Sn1 0.000 0.000 0.000
Al1 0.000 0.500 0.000
Al2 0.000 0.000 0.500
Al3 0.500 0.000 0.000

***

Density functional theory data (SCAN) for MnSbCl at its PBEsol-relaxed geometry.

Properties
The calculation puts the energy above the lowest structure with this stoichiometry at 833 meV/atom. As for the symmetry: F-43m, No. 216. The mass density is 4.63 g/cm³. Its formation energy without anion corrections is 0.21 eV/atom.

Cell lengths 4.757, 4.757, 4.757 Å; angles 60.00, 60.00, 60.00 degrees
Element x y z (fractional)
Sb1 0.250 0.250 0.250
Mn1 0.500 0.500 0.500
Cl1 0.000 0.000 0.000

***

Density functional theory data (SCAN) for LiLaP3 at its PBEsol-relaxed geometry.

Properties
As for the symmetry: Pm-3m, No. 221. The mass density is 4.48 g/cm³. The value obtained for the formation enthalpy at 0 K is -328 meV per atom.

Cell lengths 4.458, 4.458, 4.458 Å; angles 90.00, 90.00, 90.00 degrees
Element x y z (fractional)
P1 0.000 0.500 0.000
P2 0.000 0.000 0.500
P3 0.500 0.000 0.000
Li1 0.000 0.000 0.000
La1 0.500 0.500 0.500

***

Among the records above, which one has the highest mass density?
MnSbCl

***

What is the mass density in the third record?
4.48 g/cm³

***

What is the mass density in the first record?
2.52 g/cm³

***

The highest mass density belongs to which entry?
MnSbCl
........
Back to the page:

Race: Human

Faction: None

Title: None

Cultivation Stage: None

Level: 0 (0/1)

Destined Life Span: 16/68

Innate Talent Level: 1

Merit: Unknown

Karma: Unknown

Technique: Yellow Court Classic (Unblooded) [Property: Ability Upgrade (Level 1); Commanding Power (Level 1); Karma Nullification (Level 1)]; Scorching Sun Classic (Novice) [Updating]

Magic: None

Abhijna: None

Equipment: None

Pill Refining: Fundamentals of Pill Refining (Unblooded) [Updating]

And now, with the Attribute Panel appearing in response to his calling it, Lu Qingfeng was certain that everything that had happened last night hadn't been an illusion or a dream.

"During the daytime, I'll tend to the crops and, at the same time, cultivate in the Scorching Sun Classic. At night, I'll go into 'Primitive' and explore the game."

Lu Qingfeng splashed cold water on his face, making him feel even more refreshed.

"Qingyu, wakey, wakey!"

Lu Qingyu was still struggling in bed. Lu Qingfeng pulled her out of bed and pushed the little girl to go and wash herself.

After all their cleaning and washing, the siblings first went to fetch water from the Chengyang River that was some seven to eight miles away to the south. After making two trips, they started pulling weeds out of their garden. Soon, noon arrived.

They took out coarse grain biscuits and boiled water.

Lu Qingfeng took out a coarse grain biscuit, broke it, and gave the larger portion to Qingyu. Then he gobbled up his own tiny half of the coarse grain biscuit.

"Qingfeng, I can't eat so much."

Lu Qingyu gobbled up a bit and then stuffed a tiny piece that was left over into Lu Qingfeng's mouth. She blabbered, "Your saliva is all over this part. I am not eating this."

Lu Qingfeng opened his mouth and munched the coarse grain biscuit.

Lu Qingyu clapped her hands and smiled until her eyes became a pair of crescent moons.

She used to think that the coarse grain biscuits she ate at noon were bigger than the ones they'd made until she found out that the other half of the biscuit her elder brother had for himself was much smaller than hers. She'd never eaten any extra since then.

Occasionally, Lu Qingfeng would give her more of the biscuit when she wasn't paying attention, but she would always notice it immediately and leave a small bite for Lu Qingfeng.

"Qingyu, do you think that your life is hard with me?"

Lu Qingfeng drank half a bamboo tube of cold boiled water and looked at Lu Qingyu as he asked.

"Not at all! No one in Blackwood Village loves me more than you do, big brother! Hua and Ju get bullied by their brothers every day. You don't even know how much they envy me!"

Lu Qingyu's eyes were like stars, and her tiny face was glowing.

"You sure are an easy one to satisfy. Make sure you don't get yourself abducted by someone who offers you just a few nice words in the future."

Lu Qingfeng laughed.

"As if I would! I want to be with you forever."

Lu Qingyu wrinkled her nose and hummed.

Lu Qingfeng smiled and rubbed Lu Qingyu's little head. Thinking of the people who kept coming to talk to him about marriage these days, a cold feeling emerged in his heart.

"Qingyu, I had a miraculous encounter two days ago. I have to cultivate every day from now on. Stay on the lookout for me. Call me when someone is coming near us, okay?"

Lu Qingfeng fiddled with the two yellow braids on the back of Qingyu's head as he talked with her.

He and Qingyu would always be together from day until night. He couldn't possibly conceal the fact that he was cultivating from her, nor was there a need for him to do so. The three siblings depended on each other completely. For most of their lives, he had been the one who had brought up Qingyu and Qingshan. There was no one else in this world who could be more trustworthy than those two.

"You're going to cultivate, Qingfeng? Awesome! I'll stay on the lookout for you!" Lu Qing Yu squealed in surprise.

Then, realizing that she had been too loud, she shrunk her head down, stood up sneakily, and looked around. Seeing that nobody was nearby, she thumped her chest, tiptoed over, and whispered in Lu Qingfeng's ear, "Qingfeng, I won't tell anyone that you're secretly cultivating. When you succeed, let's head to Ganoderma Mountain and get Qingshan out of that place!"

Although the little girl wouldn't admit it out loud, she was in fact thinking about her second brother, Lu Qingshan, every single day.

"Good girl."

Lu Qingfeng smiled, sat down, and eagerly began cultivating in the Scorching Sun Classic.

Seeing this, Lu Qingyu got up and looked around in all directions, earnestly staying on the lookout.

Lu Qingfeng knew Qingyu's personality. He also knew that he was in a wheat field concealed by wheat stalks. He wouldn't have to worry about getting discovered.

At present...

Lu Qingfeng had mastery over two techniques.

Despite the Yellow Court Classic being an Antecedent grade technique, it felt more like a support-type technique. It couldn't directly improve his cultivation stage.

Therefore, the only thing Lu Qingfeng could cultivate for the time being was the Scorching Sun Classic.

This was actually the first time he was cultivating in reality.

Without the Yellow Dragon Pill's assistance, Lu Qingfeng realized how bad his qualifications were.

For a whole afternoon, he wasn't able to comprehend the sense of Chi.

Even though he had attained Novice Level in the Scorching Sun Classic, even though he had already comprehended the sense of Chi one time in the game, he was still stuck at a barrier.


Having meditated for an entire afternoon and being unable to grasp the sense of Chi, Lu Qingfeng felt a little frustrated. His legs were so numb that they couldn't even move.

Cultivating in reality was much harder than he had imagined.

"I have experience in comprehending the sense of Chi. Theoretically, if I have just a little bit of talent, I should be able to grasp the sense of Chi very swiftly. But I don't."

"Looks like a Level 1 in innate talent is really awful. If I want to attain something, I need to work harder. I'll spend an entire day if one afternoon won't work, and even ten days if one doesn't do. I was able to comprehend the sense of Chi with the assistance of the Yellow Dragon Pill. There is no reason that I can't comprehend it on my own."

"If even that doesn't work, I'll have to learn how to make Yellow Dragon Pills like they have in the game."

Lu Qingfeng's aptitude was unfathomably atrocious. However, he didn't feel dejected. As long as "Primitive" was available to him, nothing was unattainable.

He opened his eyes.

Qingyu was still on the lookout and being very attentive and serious. She turned around and happened to see Lu Qingfeng opening his eyes.

"Qingfeng, you're awake!"

Lu Qingyu hopped over to Lu Qingfeng, stared at him, and asked expectantly, "How was your cultivation? When can we go to save Qingshan?"

"Just so you know, cultivation isn't that quick of a thing." Lu Qingfeng shook his head.

"Is cultivating really that difficult?" Lu Qingyu tilted her head and looked confused.

"In two years, when you grow up, I'll teach you how to cultivate, and you'll find out whether it is difficult or not." Lu Qingfeng massaged his legs to get his blood circulating and his muscles moving.

However, when Lu Qingyu heard what he said, her eyes got wide, and her mouth opened slightly.

"Qingfeng, I can cultivate too?"

She never knew that girls could cultivate as well!

The Truth Sect would come to Blackwood Village to select formal disciples and labor disciples every year, and all of them were selected from boys aged 12 to 16.

Lu Qingyu thought that only people like her eldest brother and her second brother could cultivate.

"Of course you can!"

"However, first, you need to learn how to read as well as to memorize the various meridians and acupoints. After you do all this, you can start cultivating in two years," Lu Qingfeng said with a smile.

Now that he had "Primitive," he wouldn't be lacking any inheritances in the days to come. As long as he could break through the most difficult Unblooded skill level, he would be able to attain something by cultivating in the prescribed order.

By then, whether it was Qingshan or Qingyu, he would not let them stay in this cramped place of Blackwood Village.

Naturally, they would have to cultivate alongside him.

If he embarked on the journey of cultivating and he ended being all alone, wouldn't that be taking the branch for the root?